Mama's Dramas

Thursday, March 22, 2012

Holding on

Tonight as I lay beside you my five year old boy I felt what a journey it has already been. My mind flashed images of the last five cycles of seasons. The first winter hot cocoa's, the snowy adventures, the quiet sick days on the couch with stories....the days when just the two of us head off to Echo and ate our snack at the little silver tables together....The summer trips to Shelburne Farms....when you first teetered upon the tractors and later when you grew to run the place with your knowledge of cheese making and cow milking. All the play dates and snack plates and tickle tag and pretend monsters chasing you around the table. All the dinner parties with friends and family. Your journey in the world paves the way for my journey as a mother. So when you hit a new phase....when you shift and change and seem confused....well, then I am confused. As you meet new challenges in your understanding of the world..I too meet new challenges in how to help you through.
Lukas loves his baby doodee....he loves his thumb....he loves quiet moments in the corner just watching and thinking and dreaming but latley he won't put his "baby" down. He seeks her out all the time. He wants her at the table when he is eating. He wanted to take her into the bath tonight. He seems to need to know where she is at all times. He has also been acting out, not listening, not making eye contact when he talks with us. Being disrespectful with his tone of voice...demanding....rude. I am so afraid, so afraid that we were given this beautiful, intelligent, perfect boy and somehow we are making mistakes that will bury that boy.
As I lay beside little Lukas tonight I felt such love, such tenderness....he wrote a story the other day...his first story called "The Adventures of Nobody" about an invisible man who lives in an invisible house that flys. He usually smiles but sometimes leaves his smile at home in a box. Naturally, being who I am I begin to analyze his story and wonder who "nobody" is and why he leaves his smile at home in a box and why Lukas wants his "baby" more and I spin myself into all sorts of reasons. The reasons are my desperate attempt to try to understand and control what is happening to him. Tonight as he raged in a tantrum of exhaustion and tears about one of his many wants I slowly sunk to the floor and just held him. I could literally feel his body soften into me and I imagined that he was a baby....just a baby crying who needed to be held. Sometimes that is all that is needed....all any of us just be held.

Tuesday, March 13, 2012


I feel like I am spinning on this wheel of doing.....wake up and make breakfast, clean up, do laundry, empty dishwasher, dress boys, brush teeth of boys, pack bags, unpack bags.....and I never get past the surface....I am always treading water. I can't get to the the long term do anything but responding to needs and keeping chaos at bay. It wears me out. Some days I get in a little extra for me or a little extra for the house or my work.....but most days I just manage to keep us all on track. Especially as I try to homeschool now....and try to potty train Julien. I need to sit with Julien by the toilet as he attempts to master the exciting skill of pooping on the potty. I also need to sit with Lukas at the table as he tackles workbooks and projects. I used to clean the kitchen before attempting these feats. Now I hold off and clean it when Lukas is at school and Julien is napping. That means less time for work or projects or yoga or whatever. I know this time is short....and in the moment I really enjoy being with my boys. I really love watching them learn and grow and play. I feel blessed to be so much a part of it. It is just hard to find the balance and I feel like there is always something that I am not able to get to.
Today, while I took 10 minutes to do some yoga on the porch, I hung upsidedown and thought about what it felt like to be "me". What was this "me" that I was so missing. I realized that what I was really missing was the sense that I knew where I was....had the ground underneath me.....had all the balls in, body, food, journal, reflection time, artistic ventures underway, connecting moments with friends and partners and family, connecting moments with nature. There was a time when I could stay on top of all of that. Right now it is very well possible that I am just fine....just me under all this chaos and rush and race.....but I don't have time to really check in and see. I have to just bumble along and trust that things are aligned correctly inside....and if they are not, well, they will be again. I have to really let go of control. Somehow, it feels that the biggest lesson that parenting is going to teach me is how to let go of accept that I cannot and do not control everything. It's like that famous quote goes.....I think something like this...
"God grant me the serenity to accept the things I cannot change. The courage to change the things that I can and the wisdom to know the difference."

Friday, March 09, 2012

# These quantum chemistry results were left in the entry by mistake
********
Density functional theory data (the ωB97M-V functional and the def2-TZVPD basis) for a structure of composition C45H44N11O5RuS3.

Structure (ORCA input):
```
! wB97M-V def2-TZVPD RIJCOSX def2/J DEFGRID3
* xyz 2 2
Ru 0.0355 -0.1117 -0.9653
C 3.4703 8.0651 9.4242
O 4.0234 6.7861 9.1108
C 3.5705 6.1173 8.0497
C 2.5709 6.5797 7.1830
C 2.1842 5.7951 6.1187
C 2.7695 4.5433 5.8845
C 3.7729 4.0958 6.7626
C 4.1700 4.8634 7.8251
C 2.3210 3.7683 4.7580
N 1.3864 4.1492 3.8887
C 1.2698 3.1404 3.0042
C 2.1426 2.0989 3.3099
N 2.8021 2.5228 4.4290
C 2.2452 0.9076 2.5378
C 3.1357 -0.1534 2.7547
C 3.1204 -1.2246 1.8937
C 2.2174 -1.2417 0.8297
N 1.3598 -0.2513 0.6147
C 1.3729 0.8181 1.4397
C 0.4713 1.8945 1.0946
N -0.2792 1.7130 -0.0187
C -1.0594 2.7075 -0.4259
C -1.1725 3.9077 0.2788
C -0.4428 4.0896 1.4316
C 0.4122 3.0666 1.8527
H 3.9886 8.3910 10.3196
H 2.4019 7.9750 9.6227
H 3.6558 8.7658 8.6094
H 2.1035 7.5383 7.3415
H 1.4150 6.1384 5.4426
H 4.2544 3.1363 6.6174
H 4.9376 4.5355 8.5095
H 3.5084 2.0190 4.9372
H 3.8356 -0.1279 3.5785
H 3.7947 -2.0572 2.0233
H 2.1612 -2.0769 0.1481
H -1.5986 2.5341 -1.3468
H -1.8249 4.6805 -0.0972
H -0.5016 5.0041 2.0050
C -7.2424 -0.6688 -0.0169
C -6.2155 -0.1275 -1.0012
C -4.8535 -0.7577 -0.7598
N -3.8269 -0.1919 -1.6428
C -2.8560 -0.7895 -2.3103
S -1.4539 0.1508 -2.7846
N -2.9353 -2.0596 -2.7216
C -4.0820 -2.9350 -2.7603
O -3.9618 -4.0602 -2.3635
C -5.3113 -2.3833 -3.3785
C -6.5193 -3.0167 -3.0901
C -7.6897 -2.5551 -3.6660
C -7.6509 -1.4818 -4.5479
C -6.4443 -0.8685 -4.8586
C -5.2714 -1.3141 -4.2704
H -8.2116 -0.1972 -0.1651
H -6.9417 -0.4888 1.0162
H -7.3743 -1.7442 -0.1448
H -6.1330 0.9587 -0.8997
H -6.5294 -0.3309 -2.0264
H -4.8983 -1.8358 -0.8940
H -4.5238 -0.5792 0.2680
H -3.6738 0.8030 -1.5368
H -2.0518 -2.5248 -2.9738
H -6.5233 -3.8634 -2.4169
H -8.6302 -3.0380 -3.4399
H -8.5649 -1.1309 -5.0070
H -6.4163 -0.0527 -5.5672
H -4.3297 -0.8496 -4.5308
N 3.6326 -7.5131 0.0388
C 2.9583 -6.5019 -0.5668
C 3.5819 -5.2592 -0.7848
C 2.8971 -4.2325 -1.3915
C 1.5715 -4.4128 -1.7896
C 0.9466 -5.6419 -1.5884
C 1.6300 -6.6734 -0.9820
S 0.6921 -3.0981 -2.5154
O -0.4941 -3.6580 -3.1277
O 1.5994 -2.3118 -3.3011
N 0.1901 -2.1157 -1.3170
C -0.6834 -2.4461 -0.3373
S -1.3061 -3.9296 0.2416
C -2.2074 -3.0375 1.4254
C -1.9904 -1.7072 1.3042
N -1.1279 -1.3686 0.2954
H 4.6234 -7.4418 0.1884
H 3.2359 -8.4362 0.0643
H 4.6150 -5.1250 -0.4922
H 3.3977 -3.2968 -1.6031
H -0.0665 -5.7881 -1.9357
H 1.1436 -7.6282 -0.8341
H -2.8347 -3.5449 2.1360
H -2.4236 -0.9390 1.9243
N 1.4898 0.6044 -2.1407
C 2.1849 0.4738 -3.0607
N 2.9723 0.3532 -4.0739
C 2.4441 0.3134 -5.4450
C 3.3647 1.1406 -6.3268
O 4.7011 0.6937 -6.2145
C 5.1943 0.8179 -4.8982
C 4.3790 -0.0328 -3.9362
H 1.4266 0.7020 -5.4469
H 2.4254 -0.7293 -5.7722
H 3.2993 2.2018 -6.0550
H 3.0824 1.0264 -7.3725
H 5.1736 1.8692 -4.5829
H 6.2281 0.4754 -4.9161
H 4.6924 0.1193 -2.9037
H 4.4755 -1.0918 -4.1927
*
```
********

no bombs

Back from Florida. "Bye Bye summer." Lukas said as we flew away. "Bye Bye swimming and leaves." The plane ride was challenged by Lukas' clogged and painful ear and Julian's obsession with nursing. Julian wants to nurse all the time. I cannot pick him up without him wanting to nurse.....even if he just nursed for 15 minutes. He wants to do it again. Why? Is he hungry? Does he not know how to cuddle or soothe or slow down? Latley I am in an examining my children's behavior phase. I keep seeing how what I have done may have caused whatever challening behavior they are Julian is being wild and crazy, throwing toys in the trash and trying to flush our measuring cups down the toilet because I didn't give him enough attention and he wants me to notice him or Lukas is laying around on the kitchen floor sucking his thumb because I gave him too much attention and he doesn't know how to entertain himself....or because he watched too many shows....or whatever. It's all my fault. I know this is a dangerous track of self masochism and useless is also somehow labeling where they are at as "bad". I know. I know. It is just so hard to feel so darn responsible all the time. It is hard to make chioces about the lives of these little people when they are still unraveling before me. I know what I would like but I still can't tell what makes sense for them. I don't totally know they yet. My friends tell me that Lukas is probably meditating on the floor, dreaming with the why do I worry that he should be painting or doing puzzles....why do I get so invested in what he is doing. He is five! If I am invested now...if I start out this way and don't kick that one in butt how will I not be deeply invested when they grow up? I always thought I wouldn't worry what my kids grow up to be....I will be happy with whatever they do....but what if they grow up to be apathetic....don't love things with passion or feel excited about things....what if they grow up and don't feel happy or free? What if they grow up and feel bound by duty or restrained? What if they grow up and don't know how to say what they want or articulate their feelings? Please help me make the right choices for them....until they can make the choices me decide.....their education...their activities....the location of their home....all factors in the formation of these little people....all choices I am making....and with so many emotions errupting and exploding all around me all day long it is hard to stay clear enough to make these choices.

Yesterday Lukas had a friend over and we mama's were in the living room talking when Lukas came in with a poster he had made and casually said "where can I hang my no bombs poster?" "Which room to you think needs it most?" I responded.
"The living room." He replied matter of factly.
I think he is right. Some days I wish we had no bombs posters in all the rooms. We could use a little more peace around here.